_Listing_
........
Theoretical powder diffractogram
Compound: Tb2Hf2O7
Radiation: λ = 1.5418 Å (Cu Kα)
Structure: a structure optimized by DFT (PBE)

Top 6 peaks for 10 to 90 degrees two-theta, low angle first:
- hkl 2 2 2, 2θ 29.4, 3.040 Å, I = 100
- hkl 4 0 0, 2θ 34.1, 2.633 Å, I = 36
- hkl 4 4 0, 2θ 48.9, 1.862 Å, I = 46
- hkl 6 2 2, 2θ 58.1, 1.588 Å, I = 44
- hkl 6 6 2, 2θ 79.3, 1.208 Å, I = 18
- hkl 8 4 0, 2θ 81.8, 1.177 Å, I = 15

Atomic structure:
a = 10.532 Å, b = 10.532 Å, c = 10.532 Å
α = 90.00°, β = 90.00°, γ = 90.00°
Space group Fd-3m (No. 227, origin choice 2)
Unique sites:
1 Tb 0.000 0.000 0.000 x16
2 Hf 0.000 0.000 0.500 x16
3 O 0.087 0.375 0.875 x48
4 O 0.125 0.125 0.125 x8

---

Theoretical powder diffractogram
Compound: Ag4Cl5
Radiation: λ = 1.5418 Å (Cu Kα)
Structure: a structure optimized by DFT (PBE)

Top 6 peaks for 10 to 90 degrees two-theta, low angle first:
- hkl 1 1 0, 2θ 12.5, 7.097 Å, I = 32
- hkl 1 1 -1, 2θ 22.4, 3.970 Å, I = 20
- hkl 2 0 -1, 2θ 26.0, 3.426 Å, I = 100
- hkl 1 3 1, 2θ 33.4, 2.681 Å, I = 90
- hkl 3 3 0, 2θ 38.0, 2.366 Å, I = 64
- hkl 1 3 -2, 2θ 47.2, 1.925 Å, I = 29

Atomic structure:
a = 9.062 Å, b = 11.683 Å, c = 4.443 Å
α = 90.00°, β = 99.60°, γ = 90.00°
Space group C2/m (No. 12)
Unique sites:
1 Ag 0.171 0.158 0.311 x8
2 Cl 0.000 0.000 0.000 x2
3 Cl 0.000 0.292 0.000 x4
4 Cl 0.189 0.500 0.421 x4

---

Theoretical powder diffractogram
Compound: Tb3Dy4Tm
Radiation: λ = 1.5418 Å (Cu Kα)
Structure: a structure optimized by DFT (PBE)

Top 6 peaks for 10 to 90 degrees two-theta, low angle first:
- hkl 0 2 1, 2θ 28.5, 3.131 Å, I = 24
- hkl 4 0 0, 2θ 31.9, 2.803 Å, I = 24
- hkl 2 0 2, 2θ 32.8, 2.734 Å, I = 100
- hkl 0 4 0, 2θ 50.5, 1.808 Å, I = 20
- hkl 6 0 2, 2θ 57.4, 1.605 Å, I = 20
- hkl 4 4 0, 2θ 61.0, 1.519 Å, I = 23

Atomic structure:
a = 11.212 Å, b = 7.237 Å, c = 6.257 Å
α = 90.00°, β = 90.00°, γ = 90.00°
Space group Pmn2_1 (No. 31)
Unique sites:
1 Tb 0.000 0.125 0.000 x2
2 Tb 0.250 0.125 0.333 x4
3 Dy 0.000 0.375 0.501 x2
4 Dy 0.000 0.625 0.000 x2
5 Dy 0.249 0.625 0.334 x4
6 Tm 0.000 0.875 0.500 x2

---

Theoretical powder diffractogram
Compound: Li2Mg
Radiation: λ = 1.5418 Å (Cu Kα)
Structure: a structure optimized by DFT (PBE)

Top 6 peaks for 10 to 90 degrees two-theta, low angle first:
- hkl 0 0 2, 2θ 11.7, 7.553 Å, I = 29
- hkl 1 0 0, 2θ 17.7, 5.018 Å, I = 59
- hkl 0 1 3, 2θ 32.9, 2.721 Å, I = 24
- hkl 0 0 6, 2θ 35.7, 2.518 Å, I = 29
- hkl 2 0 0, 2θ 35.8, 2.509 Å, I = 29
- hkl 1 1 3, 2θ 37.6, 2.392 Å, I = 100

Atomic structure:
a = 5.018 Å, b = 3.234 Å, c = 15.106 Å
α = 90.00°, β = 90.00°, γ = 90.00°
Space group Amm2 (No. 38)
Unique sites:
1 Li 0.000 0.000 0.000 x2
2 Li 0.000 0.000 0.331 x2
3 Li 0.000 0.000 0.662 x2
4 Li 0.500 0.000 0.833 x2
5 Mg 0.500 0.000 0.171 x2
6 Mg 0.500 0.000 0.495 x2

---

Theoretical powder diffractogram
Compound: AcZn4Co
Radiation: λ = 1.5418 Å (Cu Kα)
Structure: a structure optimized by DFT (PBE)

Top 6 peaks for 10 to 90 degrees two-theta, low angle first:
- hkl 1 0 2, 2θ 27.1, 3.285 Å, I = 36
- hkl 2 1 0, 2θ 32.0, 2.799 Å, I = 35
- hkl 2 1 1, 2θ 34.3, 2.611 Å, I = 100
- hkl 1 1 2, 2θ 35.2, 2.547 Å, I = 83
- hkl 1 0 3, 2θ 39.0, 2.307 Å, I = 46
- hkl 0 2 0, 2θ 45.0, 2.016 Å, I = 39

Atomic structure:
a = 7.780 Å, b = 4.032 Å, c = 7.248 Å
α = 90.00°, β = 90.00°, γ = 90.00°
Space group Pmma (No. 51)
Unique sites:
1 Ac 0.250 0.000 0.094 x2
2 Zn 0.000 0.000 0.500 x2
3 Zn 0.066 0.500 0.764 x4
4 Zn 0.250 0.500 0.455 x2
5 Co 0.250 0.000 0.695 x2

---

Theoretical powder diffractogram
Compound: AcPmCl4
Radiation: λ = 1.5418 Å (Cu Kα)
Structure: a structure optimized by DFT (PBE)

Top 6 peaks for 10 to 90 degrees two-theta, low angle first:
- hkl 0 2 0, 2θ 10.9, 8.133 Å, I = 90
- hkl 0 2 1, 2θ 18.8, 4.708 Å, I = 62
- hkl 2 2 -1, 2θ 24.4, 3.652 Å, I = 35
- hkl 0 0 2, 2θ 31.0, 2.884 Å, I = 100
- hkl 4 0 -2, 2θ 44.3, 2.046 Å, I = 36
- hkl 2 4 -3, 2θ 44.6, 2.033 Å, I = 34

Atomic structure:
a = 8.174 Å, b = 16.266 Å, c = 7.040 Å
α = 90.00°, β = 124.89°, γ = 90.00°
........

_Request_
The reader should find the line further up that holds "50.5, 1.808", then retype that line and all lines after it there.

_Result_
- hkl 0 4 0, 2θ 50.5, 1.808 Å, I = 20
- hkl 6 0 2, 2θ 57.4, 1.605 Å, I = 20
- hkl 4 4 0, 2θ 61.0, 1.519 Å, I = 23

Atomic structure:
a = 11.212 Å, b = 7.237 Å, c = 6.257 Å
α = 90.00°, β = 90.00°, γ = 90.00°
Space group Pmn2_1 (No. 31)
Unique sites:
1 Tb 0.000 0.125 0.000 x2
2 Tb 0.250 0.125 0.333 x4
3 Dy 0.000 0.375 0.501 x2
4 Dy 0.000 0.625 0.000 x2
5 Dy 0.249 0.625 0.334 x4
6 Tm 0.000 0.875 0.500 x2

---

Theoretical powder diffractogram
Compound: Li2Mg
Radiation: λ = 1.5418 Å (Cu Kα)
Structure: a structure optimized by DFT (PBE)

Top 6 peaks for 10 to 90 degrees two-theta, low angle first:
- hkl 0 0 2, 2θ 11.7, 7.553 Å, I = 29
- hkl 1 0 0, 2θ 17.7, 5.018 Å, I = 59
- hkl 0 1 3, 2θ 32.9, 2.721 Å, I = 24
- hkl 0 0 6, 2θ 35.7, 2.518 Å, I = 29
- hkl 2 0 0, 2θ 35.8, 2.509 Å, I = 29
- hkl 1 1 3, 2θ 37.6, 2.392 Å, I = 100

Atomic structure:
a = 5.018 Å, b = 3.234 Å, c = 15.106 Å
α = 90.00°, β = 90.00°, γ = 90.00°
Space group Amm2 (No. 38)
Unique sites:
1 Li 0.000 0.000 0.000 x2
2 Li 0.000 0.000 0.331 x2
3 Li 0.000 0.000 0.662 x2
4 Li 0.500 0.000 0.833 x2
5 Mg 0.500 0.000 0.171 x2
6 Mg 0.500 0.000 0.495 x2

---

Theoretical powder diffractogram
Compound: AcZn4Co
Radiation: λ = 1.5418 Å (Cu Kα)
Structure: a structure optimized by DFT (PBE)

Top 6 peaks for 10 to 90 degrees two-theta, low angle first:
- hkl 1 0 2, 2θ 27.1, 3.285 Å, I = 36
- hkl 2 1 0, 2θ 32.0, 2.799 Å, I = 35
- hkl 2 1 1, 2θ 34.3, 2.611 Å, I = 100
- hkl 1 1 2, 2θ 35.2, 2.547 Å, I = 83
- hkl 1 0 3, 2θ 39.0, 2.307 Å, I = 46
- hkl 0 2 0, 2θ 45.0, 2.016 Å, I = 39

Atomic structure:
a = 7.780 Å, b = 4.032 Å, c = 7.248 Å
α = 90.00°, β = 90.00°, γ = 90.00°
Space group Pmma (No. 51)
Unique sites:
1 Ac 0.250 0.000 0.094 x2
2 Zn 0.000 0.000 0.500 x2
3 Zn 0.066 0.500 0.764 x4
4 Zn 0.250 0.500 0.455 x2
5 Co 0.250 0.000 0.695 x2

---

Theoretical powder diffractogram
Compound: AcPmCl4
Radiation: λ = 1.5418 Å (Cu Kα)
Structure: a structure optimized by DFT (PBE)

Top 6 peaks for 10 to 90 degrees two-theta, low angle first:
- hkl 0 2 0, 2θ 10.9, 8.133 Å, I = 90
- hkl 0 2 1, 2θ 18.8, 4.708 Å, I = 62
- hkl 2 2 -1, 2θ 24.4, 3.652 Å, I = 35
- hkl 0 0 2, 2θ 31.0, 2.884 Å, I = 100
- hkl 4 0 -2, 2θ 44.3, 2.046 Å, I = 36
- hkl 2 4 -3, 2θ 44.6, 2.033 Å, I = 34

Atomic structure:
a = 8.174 Å, b = 16.266 Å, c = 7.040 Å
α = 90.00°, β = 124.89°, γ = 90.00°